-- Job --
The reader should quote the lines below up to the one that holds "1.569 0.026", that line included.
-- File --
No. 1
Diffraction record for MgCo2Bi4O12. The powder diffractogram is computed, not measured: it uses the GGA+U geometry in the Materials Project and copper Kα.
Intensities are scaled so that the largest is 1000.

Atomic structure:
```
19
Lattice="5.135 0.000 0.000 0.000 10.043 0.000 -0.004 0.000 5.137" Properties=species:S:1:pos:R:3 pbc="T T T"
Mg 0.000 0.000 0.000
Co -0.002 2.545 2.569
Co 2.568 7.504 0.000
Bi -0.002 5.752 2.569
Bi -0.002 9.001 2.569
Bi 2.568 1.050 0.000
Bi 2.568 4.298 0.000
O 0.886 0.852 1.513
O 0.979 4.106 1.589
O 1.044 7.440 1.510
O 1.504 2.613 4.091
O 1.505 9.190 4.244
O 1.586 5.944 4.157
O 3.546 5.944 0.980
O 3.626 9.190 0.893
O 3.628 2.613 1.046
O 4.088 7.440 3.627
O 4.153 4.106 3.548
O 4.245 0.852 3.624
```

Top 10 peaks for 10 to 90 degrees two-theta, sorted by position:
- d 4.573, 19.4 deg, rel. 336
- d 3.632, 24.5 deg, rel. 1000
- d 2.805, 31.9 deg, rel. 816
- d 2.568, 34.9 deg, rel. 308
- d 1.894, 48.0 deg, rel. 685
- d 1.816, 50.2 deg, rel. 190
- d 1.624, 56.7 deg, rel. 179
- d 1.524, 60.8 deg, rel. 202
- d 1.311, 72.0 deg, rel. 154
- d 1.168, 82.6 deg, rel. 132



No. 2
Diffraction record for LiVSiO4. The powder diffractogram is computed, not measured: it uses the GGA+U geometry in the Materials Project and copper Kα.
Intensities are scaled so that the largest is 1000.

Atomic structure:
```
28
Lattice="10.499 0.000 0.000 0.000 6.852 0.000 0.000 0.000 5.099" Properties=species:S:1:pos:R:3 pbc="T T T"
Li 1.569 0.026 0.000
Li 3.680 3.452 2.550
Li 6.819 3.400 0.000
Li 8.929 6.826 2.550
V 1.750 3.493 0.011
V 3.499 0.067 2.560
V 7.000 6.785 0.011
V 8.749 3.359 2.560
Si 0.995 1.786 2.578
Si 4.255 5.212 0.028
Si 6.244 1.640 2.578
Si 9.504 5.066 0.028
O 0.621 5.045 4.819
O 1.289 1.837 4.200
O 1.678 0.415 1.973
O 1.762 3.081 1.901
O 3.487 6.508 4.451
O 3.572 3.841 4.522
O 3.960 5.264 1.650
O 4.628 1.619 2.269
O 5.870 5.233 4.819
O 6.539 1.589 4.200
O 6.927 3.011 1.973
O 7.012 0.345 1.901
O 8.737 3.771 4.451
O 8.821 6.438 4.522
O 9.209 5.015 1.650
O 9.878 1.807 2.269
```

Top 10 peaks for 10 to 90 degrees two-theta, sorted by position:
- d 5.738, 15.4 deg, rel. 583
- d 4.167, 21.3 deg, rel. 676
- d 4.091, 21.7 deg, rel. 953
- d 3.812, 23.3 deg, rel. 1000
- d 3.117, 28.6 deg, rel. 409
- d 2.869, 31.2 deg, rel. 570
- d 2.625, 34.2 deg, rel. 402
- d 2.550, 35.2 deg, rel. 561
- d 2.501, 35.9 deg, rel. 563
- d 1.462, 63.6 deg, rel. 312



No. 3
Diffraction record for Li3CoRuO5. The powder diffractogram is computed, not measured: it uses the GGA+U geometry in the Materials Project and copper Kα.
Intensities are scaled so that the largest is 1000.

Atomic structure:
```
20
Lattice="2.590 -7.492 0.000 2.590 7.492 0.000 -1.694 0.000 4.839" Properties=species:S:1:pos:R:3 pbc="T T T"
Li 0.000 0.000 0.000
Li 1.743 6.018 2.419
Li 1.743 2.985 2.419
Li 1.743 0.000 2.419
Li 1.743 -2.985 2.419
Li 1.743 -6.018 2.419
Co 2.590 4.530 0.000
Co 2.590 -4.530 0.000
Ru 2.590 1.510 0.000
Ru 2.590 -1.510 0.000
O 0.060 2.921 3.708
O 0.969 1.529 1.110
O 0.110 0.000 3.710
O 0.969 -1.529 1.110
O 0.060 -2.921 3.708
O 3.425 2.921 1.131
O 2.517 1.529 3.729
O 3.375 0.000 1.129
O 2.517 -1.529 3.729
O 3.425 -2.921 1.131
```

Top 10 peaks for 10 to 90 degrees two-theta, sorted by position:
- d 4.839, 18.3 deg, rel. 1000
- d 4.647, 19.1 deg, rel. 289
- d 4.046, 22.0 deg, rel. 185
- d 2.555, 35.1 deg, rel. 331
- d 2.546, 35.2 deg, rel. 157
- d 2.441, 36.8 deg, rel. 182
- d 2.114, 42.8 deg, rel. 528
- d 2.102, 43.0 deg, rel. 282
- d 1.496, 62.0 deg, rel. 151
- d 1.485, 62.6 deg, rel. 145



No. 4
Diffraction record for BaLu2CoO5. The powder diffractogram is computed, not measured: it uses the GGA+U geometry in the Materials Project and copper Kα.
Intensities are scaled so that the largest is 1000.

Atomic structure:
```
36
Lattice="12.161 0.000 0.000 0.000 5.671 0.000 0.000 0.000 7.007" Properties=species:S:1:pos:R:3 pbc="T T T"
Ba 1.229 1.418 0.564
Ba 4.852 4.253 4.067
Ba 7.309 1.418 2.940
Ba 10.932 4.253 6.443
Lu 0.904 4.253 2.819
-- Result --
No. 1
Diffraction record for MgCo2Bi4O12. The powder diffractogram is computed, not measured: it uses the GGA+U geometry in the Materials Project and copper Kα.
Intensities are scaled so that the largest is 1000.

Atomic structure:
```
19
Lattice="5.135 0.000 0.000 0.000 10.043 0.000 -0.004 0.000 5.137" Properties=species:S:1:pos:R:3 pbc="T T T"
Mg 0.000 0.000 0.000
Co -0.002 2.545 2.569
Co 2.568 7.504 0.000
Bi -0.002 5.752 2.569
Bi -0.002 9.001 2.569
Bi 2.568 1.050 0.000
Bi 2.568 4.298 0.000
O 0.886 0.852 1.513
O 0.979 4.106 1.589
O 1.044 7.440 1.510
O 1.504 2.613 4.091
O 1.505 9.190 4.244
O 1.586 5.944 4.157
O 3.546 5.944 0.980
O 3.626 9.190 0.893
O 3.628 2.613 1.046
O 4.088 7.440 3.627
O 4.153 4.106 3.548
O 4.245 0.852 3.624
```

Top 10 peaks for 10 to 90 degrees two-theta, sorted by position:
- d 4.573, 19.4 deg, rel. 336
- d 3.632, 24.5 deg, rel. 1000
- d 2.805, 31.9 deg, rel. 816
- d 2.568, 34.9 deg, rel. 308
- d 1.894, 48.0 deg, rel. 685
- d 1.816, 50.2 deg, rel. 190
- d 1.624, 56.7 deg, rel. 179
- d 1.524, 60.8 deg, rel. 202
- d 1.311, 72.0 deg, rel. 154
- d 1.168, 82.6 deg, rel. 132



No. 2
Diffraction record for LiVSiO4. The powder diffractogram is computed, not measured: it uses the GGA+U geometry in the Materials Project and copper Kα.
Intensities are scaled so that the largest is 1000.

Atomic structure:
```
28
Lattice="10.499 0.000 0.000 0.000 6.852 0.000 0.000 0.000 5.099" Properties=species:S:1:pos:R:3 pbc="T T T"
Li 1.569 0.026 0.000